~~~
VASP calculation (GGA-PBE) on a geometry-optimized HfMoOs structure.

Values from the calculation:
E: -10.710 eV/atom
Calculated density: 14.35 g cm⁻³
Energy relative to the elements: -0.0382 eV/atom

Cell lengths 4.309, 6.576, 6.576 Å; angles 120.08, 90.00, 90.00 degrees
Sites, in units of the cell vectors:
Hf1 0.000 0.000 0.000
Hf2 0.000 0.121 0.560
Hf3 0.000 0.560 0.121
Mo1 0.000 0.560 0.560
Mo2 0.500 0.227 0.893
Mo3 0.500 0.893 0.227
Os1 0.500 0.313 0.313
Os2 0.500 0.560 0.807
Os3 0.500 0.807 0.560

~~~~~

Here is CoCu3P after structural relaxation from the Alexandria database. Energies are from PBE-GGA.

Excess energy over the best structure of this formula in the dataset ... 0 meV per atom
Total magnetic moment ... 0.33 μB/atom
ΔE_f ... 0.5925 eV per atom

Cell and atoms, written as extended XYZ:
```
5
Lattice="-2.468 -3.038 -1.669 3.405 -2.507 -0.471 -0.647 -1.609 3.886" Properties=species:S:1:pos:R:3 pbc="T T T"
Cu -1.234 -1.519 -0.834
Cu 1.703 -1.254 -0.236
P 0.000 0.000 0.000
Co 0.145 -3.577 0.873
Cu -0.323 -0.804 1.943
```

***

Here is Co2CuP after structural relaxation from the Alexandria database. Energies are from PBE-GGA.

Excess energy over the best structure of this formula in the dataset ... 81 meV per atom
Total magnetic moment ... 0.00 μB/atom
ΔE_f ... -0.0608 eV per atom

Cell and atoms, written as extended XYZ:
```
4
Lattice="-3.316 -1.341 -0.679 -0.279 -1.069 3.469 -1.313 2.856 0.774" Properties=species:S:1:pos:R:3 pbc="T T T"
Co 0.000 0.000 0.000
Co -1.797 -1.205 1.395
Cu -2.314 0.758 0.047
P -0.796 0.894 2.122
```

***

Here is Co2CuP2 after structural relaxation from the Alexandria database. Energies are from PBE-GGA.

Excess energy over the best structure of this formula in the dataset ... 0 meV per atom
Total magnetic moment ... 0.00 μB/atom
ΔE_f ... -0.1947 eV per atom

Cell and atoms, written as extended XYZ:
```
10
Lattice="-3.293 -1.088 -0.714 -0.297 -2.010 4.430 -2.506 5.929 2.522" Properties=species:S:1:pos:R:3 pbc="T T T"
Co -2.206 0.102 1.239
P -1.754 2.114 4.863
Cu 0.000 0.000 0.000
Co -2.900 2.421 0.904
P -1.050 1.805 2.089
Co -3.048 1.416 3.119
Co -3.890 2.729 4.999
Cu -0.148 -1.005 2.215
P -2.305 -1.022 3.403
P -3.792 3.853 2.834
```

***

Here is Co2CuP after structural relaxation from the Alexandria database. Energies are from PBE-GGA.

Excess energy over the best structure of this formula in the dataset ... 255 meV per atom
Total magnetic moment ... 0.66 μB/atom
ΔE_f ... 0.1135 eV per atom

Cell and atoms, written as extended XYZ:
```
4
Lattice="-1.723 -2.416 2.675 0.081 -3.958 -0.540 2.259 -2.293 2.367" Properties=species:S:1:pos:R:3 pbc="T T T"
P 0.463 -6.501 3.377
Co 0.000 0.000 0.000
Cu 0.308 -4.334 2.251
Co 0.154 -2.167 1.126
```

***

Here is Co2CuP after structural relaxation from the Alexandria database. Energies are from PBE-GGA.

Excess energy over the best structure of this formula in the dataset ... 182 meV per atom
Total magnetic moment ... 0.55 μB/atom
ΔE_f ... 0.0408 eV per atom

Cell and atoms, written as extended XYZ:
```
4
Lattice="-1.235 -2.300 0.592 0.879 -1.265 -3.079 4.188 -1.756 1.916" Properties=species:S:1:pos:R:3 pbc="T T T"
Co 0.847 -2.212 -0.774
P 3.091 -3.153 0.252
Cu 2.039 -0.855 0.933
Co 4.137 -1.734 1.893
```

***

Here is CoCu2P after structural relaxation from the Alexandria database. Energies are from PBE-GGA.

Total magnetic moment ... 0.00 μB/atom
ΔE_f ... -0.0647 eV per atom

Cell and atoms, written as extended XYZ:
```
4
Lattice="3.672 -0.650 0.347 2.362 2.886 0.347 1.603 0.594 4.245" Properties=species:S:1:pos:R:3 pbc="T T T"
Cu 1.913 0.709 1.309
P 3.744 1.387 3.123
Co 5.784 2.143 3.134
Cu 1.619 0.600 4.088
```

***

Here is CoCu4P after structural relaxation from the Alexandria database. Energies are from PBE-GGA.

Total magnetic moment ... 0.27 μB/atom
ΔE_f ... 0.3807 eV per atom

Cell and atoms, written as extended XYZ:
```
6
Lattice="0.000 3.367 3.367 3.367 0.000 3.367 3.367 3.367 0.000" Properties=species:S:1:pos:R:3 pbc="T T T"
~~~

What is needed: print the material earlier on from the first line to the one with "0.27 μB/atom" exactly.

VASP calculation (GGA-PBE) on a geometry-optimized HfMoOs structure.

Values from the calculation:
E: -10.710 eV/atom
Calculated density: 14.35 g cm⁻³
Energy relative to the elements: -0.0382 eV/atom

Cell lengths 4.309, 6.576, 6.576 Å; angles 120.08, 90.00, 90.00 degrees
Sites, in units of the cell vectors:
Hf1 0.000 0.000 0.000
Hf2 0.000 0.121 0.560
Hf3 0.000 0.560 0.121
Mo1 0.000 0.560 0.560
Mo2 0.500 0.227 0.893
Mo3 0.500 0.893 0.227
Os1 0.500 0.313 0.313
Os2 0.500 0.560 0.807
Os3 0.500 0.807 0.560

~~~~~

Here is CoCu3P after structural relaxation from the Alexandria database. Energies are from PBE-GGA.

Excess energy over the best structure of this formula in the dataset ... 0 meV per atom
Total magnetic moment ... 0.33 μB/atom
ΔE_f ... 0.5925 eV per atom

Cell and atoms, written as extended XYZ:
```
5
Lattice="-2.468 -3.038 -1.669 3.405 -2.507 -0.471 -0.647 -1.609 3.886" Properties=species:S:1:pos:R:3 pbc="T T T"
Cu -1.234 -1.519 -0.834
Cu 1.703 -1.254 -0.236
P 0.000 0.000 0.000
Co 0.145 -3.577 0.873
Cu -0.323 -0.804 1.943
```

***

Here is Co2CuP after structural relaxation from the Alexandria database. Energies are from PBE-GGA.

Excess energy over the best structure of this formula in the dataset ... 81 meV per atom
Total magnetic moment ... 0.00 μB/atom
ΔE_f ... -0.0608 eV per atom

Cell and atoms, written as extended XYZ:
```
4
Lattice="-3.316 -1.341 -0.679 -0.279 -1.069 3.469 -1.313 2.856 0.774" Properties=species:S:1:pos:R:3 pbc="T T T"
Co 0.000 0.000 0.000
Co -1.797 -1.205 1.395
Cu -2.314 0.758 0.047
P -0.796 0.894 2.122
```

***

Here is Co2CuP2 after structural relaxation from the Alexandria database. Energies are from PBE-GGA.

Excess energy over the best structure of this formula in the dataset ... 0 meV per atom
Total magnetic moment ... 0.00 μB/atom
ΔE_f ... -0.1947 eV per atom

Cell and atoms, written as extended XYZ:
```
10
Lattice="-3.293 -1.088 -0.714 -0.297 -2.010 4.430 -2.506 5.929 2.522" Properties=species:S:1:pos:R:3 pbc="T T T"
Co -2.206 0.102 1.239
P -1.754 2.114 4.863
Cu 0.000 0.000 0.000
Co -2.900 2.421 0.904
P -1.050 1.805 2.089
Co -3.048 1.416 3.119
Co -3.890 2.729 4.999
Cu -0.148 -1.005 2.215
P -2.305 -1.022 3.403
P -3.792 3.853 2.834
```

***

Here is Co2CuP after structural relaxation from the Alexandria database. Energies are from PBE-GGA.

Excess energy over the best structure of this formula in the dataset ... 255 meV per atom
Total magnetic moment ... 0.66 μB/atom
ΔE_f ... 0.1135 eV per atom

Cell and atoms, written as extended XYZ:
```
4
Lattice="-1.723 -2.416 2.675 0.081 -3.958 -0.540 2.259 -2.293 2.367" Properties=species:S:1:pos:R:3 pbc="T T T"
P 0.463 -6.501 3.377
Co 0.000 0.000 0.000
Cu 0.308 -4.334 2.251
Co 0.154 -2.167 1.126
```

***

Here is Co2CuP after structural relaxation from the Alexandria database. Energies are from PBE-GGA.

Excess energy over the best structure of this formula in the dataset ... 182 meV per atom
Total magnetic moment ... 0.55 μB/atom
ΔE_f ... 0.0408 eV per atom

Cell and atoms, written as extended XYZ:
```
4
Lattice="-1.235 -2.300 0.592 0.879 -1.265 -3.079 4.188 -1.756 1.916" Properties=species:S:1:pos:R:3 pbc="T T T"
Co 0.847 -2.212 -0.774
P 3.091 -3.153 0.252
Cu 2.039 -0.855 0.933
Co 4.137 -1.734 1.893
```

***

Here is CoCu2P after structural relaxation from the Alexandria database. Energies are from PBE-GGA.

Total magnetic moment ... 0.00 μB/atom
ΔE_f ... -0.0647 eV per atom

Cell and atoms, written as extended XYZ:
```
4
Lattice="3.672 -0.650 0.347 2.362 2.886 0.347 1.603 0.594 4.245" Properties=species:S:1:pos:R:3 pbc="T T T"
Cu 1.913 0.709 1.309
P 3.744 1.387 3.123
Co 5.784 2.143 3.134
Cu 1.619 0.600 4.088
```

***

Here is CoCu4P after structural relaxation from the Alexandria database. Energies are from PBE-GGA.

Total magnetic moment ... 0.27 μB/atom